The Piano nobile
The upper storey of the West Wing was clearly a very important space within the Palace. The evidence suggests that there a number of quite spacious halls above the magazines, that looked down on the West Court. It was reached by either of two grand staircases—one from the Central Court, which has already been described, and another that is linked to the Corridor of Procession.
The South Propylaeum
At about the mid-point of Evans’ Corridor of Procession is a formal entranceway of a type known as a propylaea (Latin: propylaeum) in the architecture of the Classical period. The name derives from the grand entrance to the Acropolis in Athens. In its simplest form it consists of a doorway with a porch or portico with one or two columns. A common variant, especially during the Bronze Age, is laid out like the letter ‘H’ with a portico on both sides of the door. Very similar examples are found on the Greek mainland at the principal Mycenaean palaces but nothing comparable has been found in Crete, so it would seem likely that mainlanders were responsible for this one too.
This propylaea was actually a sequence of two halls rather than two porches, the outer one being just about twice as deep (8.5 vs 4.3 metres). The side walls were a little over a metre thick and enclosed an area 9.45 metres across (measured from the inner surfaces of the two walls). The roofs of both ‘porches’ were supported by pairs of wooden columns, set about 4.5 metres apart, along with two projecting walls that framed the main opening. The central area has terazza paving, which could mean that it was to the sky, perhaps with a lantern or some sort of clerestory arrangement.
Evans’ reconstruction is very plausible but it is based more on deductive reasoning than on physical evidence. The entrance is an arrangement of three doorways—a broad, central one flanked by two that were somewhat narrower—along the northern side of the Corridor of Procession. These lead to a similar set lying across an open space that was probably a light well. However, no trace of the southern entrance system has survived, only the line of the underlying basement walls.
In fact, Evans found only the doorjambs of what he took to be the eastern door of the inner set (right). He reasoned that there must have been an even wider one leading directly to the staircase at the rear of the propylaea and a third to the west, to balance the arrangement. In the space between the jambs was a badly decomposed block of stone that had been bored with a series of holes, most likely for the fitting of metal railings. The block was not an original feature but it may have been a replacement. Some sort of screening would have been a good idea because both of the side doorways were immediately blocked by the outer pair of columns. The stone column bases (one of gypsum and the other three of limestone) were just over 90 cm. in diameter which suggests that the columns were probably something like 4.6 metres tall.

Sketch of a Restored South Propylaeum (from The Palace of Minos by Arthur Evans)
The central opening was about 4.5 metres wide—the same distance that separates the two column bases. A pair of gypsum steps, pieces of which were found nearby, led through to the inner portico.
It was while excavating in this area that Evans found evidence that the existing propylaeum had replaced one that was approximately 5 metres wider belonging to the early part of the Second Palace Period and destroyed by the same massive earthquake that destroyed the Stepped Portico. Only foundations can be found in some places but Evans got the impression that it was of superior construction, using solid masonry instead of rubble fill. The broken piece of a stone rosette (right) surmounted by a cornice was found in the fill at a depth of some 70 cm. Presumably it formed part of a decorative surround for the central portal. There is no evidence that any such decorative stonework was used in the later propylaeum. Painted stucco versions were used instead, further evidence, according to Evans, of a rushed job.
Associated with the earlier propylaeum was a stone-lined cist, (left) that had been sunk into the floor to a depth of 1.5 metres. It was very similar in size to the pair found behind the Tripartite Shrine, measuring 2.35 x 1.60 metres. The side walls were of ashlar blocks, 38 cm. thick. lined on the inside with plaster, painted to look like woodwork, while the bottom was made up of a pair of neatly trimmed stone slabs. The pot sherds found within were principally Middle Minoan IIIB in date and were part of the final filling of the cist to support the new east wall. To Evans this was all further evidence for a massive earthquake punctuating the Second Palace Period. The original contents had been removed but one assumes that they were the same sort of thing as found in the other repositories—ritual vessels, statuettes and other ritual paraphernalia.
The side walls of both versions of the propylaeum were decorated with frescoes.In the earlier version, the fragments found suggest something similar in style and subject matter to the composition he called ‘the Ladies in Blue’ (below left) that he had found in the East Wing of the palace— although, in this case, the colours are not nearly so well-preserved. This is a theme that he also found associated with the earlier phase of the Corridor of Procession.
Its successor was similarly decorated with scenes that closely match those in the contemporary corridor. By the western wall Evans found fragments depicting a young man holding a tall conical rhyton (sacred vessel used for pouring liquid offerings). It is painted blue with red bands which, according to the artistic conventions of the day, means that it was probably made out of silver with copper(?) mountings. The Cup Bearer is decked out for the occasion in an elaborate kilt held up by a broad silver belt. He wears silver armlets around his left bicep a silver bracelet on his right wrist. On his left wrist, he wore what is almost certainly an agate seal stone attached by a wire and within a setting of silver beads. He also wears some sort of small silver plate attached (how is unclear) to the front of his left ear. Above his head is the sort of wavy bandwork that is a Minoan convention meant to indicate a rocky landscape.
Immediately in front of the Cup Bearer is part of the left bicep of another which shows that this is indeed a procession. In this case, it was heading out the propylaeum and into the corridor. The height of the whole figure, from the top of the wavy border to the base was something like 2.50 metres, so there would have been plenty of room for two registers here too. It is usually assumed that the actual procession would have come down the steps from the upper storey but it is perhaps more likely, given the type of jar being carried, that it came from the West Magazines where the wine and oil were stored.

Beyond the inner portico was a large block of clay that Evans believed was the setting for a broad flight of steps, perhaps a dozen in all, leading to the Piano Nobile. In his mind’s eye he saw a magnificent edifice, a broad flight of a dozen steps (reconstructed, far right) overlooked by columned galleries on either side. As he readily admitted, the physical evidence is scant—some re-used blocks in a much later building (a small shrine from the Classical period, perhaps) whose ruins were found on top of the mass of clay. Also found nearby was a gypsum door jamb and a column base that had apparently slid down to the corridor separating the stairway from the propylaeum. Evans restored it at the top of the stairs, where he imagined a vestibule that gave access to the cult rooms on the upper floor and to the side galleries.

-- begin --
1.
First-principles (PBE) data for an optimized crystal structure of SrZnTc2, as listed in the Alexandria database.

POSCAR file:
```
SrZnTc2
1.0
5.5542 -0.0142 0.0000
2.7316 4.8361 0.0000
-4.1429 -2.4110 2.8059
Sr Tc Zn
1 2 1
Cartesian
2.7771 -0.0071 1.4030
0.0000 0.0000 0.0000
4.1429 2.4110 0.0000
1.3658 2.4181 1.4030
```

Values from the calculation:
Spin magnetization in μB/f.u.: 0.00
ΔH_f (0 K) in eV per atom: 0.878
SG: I4/mmm (139)

***

2.
First-principles (PBE) data for an optimized crystal structure of SrZnTc2, as listed in the Alexandria database.

POSCAR file:
```
SrZnTc2
1.0
3.4337 0.0000 0.0000
0.0000 3.4272 0.0000
0.0000 0.0000 6.9078
Sr Tc Zn
1 2 1
Cartesian
1.7169 1.7136 5.1809
0.0000 0.0000 0.6082
0.0000 0.0000 2.8457
1.7169 1.7136 1.7270
```

Values from the calculation:
Spin magnetization in μB/f.u.: 0.00
ΔH_f (0 K) in eV per atom: 0.510
SG: P4/mmm (123)

***

3.
First-principles (PBE) data for an optimized crystal structure of SrZnTc2, as listed in the Alexandria database.

POSCAR file:
```
SrZnTc2
1.0
-3.4949 2.7707 3.4118
-1.6165 -1.0437 -5.2753
-1.0557 -2.2873 0.7761
Sr Tc Zn
1 2 1
Cartesian
-1.3361 -1.6655 -2.2496
0.0000 0.0000 0.0000
-2.5557 0.8635 -0.9318
-2.2753 0.2417 2.0939
```

Values from the calculation:
Spin magnetization in μB/f.u.: 0.00
ΔH_f (0 K) in eV per atom: 0.868
SG: Cmmm (65)

***

4.
First-principles (PBE) data for an optimized crystal structure of Sr2ZnTc, as listed in the Alexandria database.

POSCAR file:
```
Sr2ZnTc
1.0
-5.7912 -2.6212 -0.0524
-3.4987 -4.8131 -2.2370
-0.5597 -3.8997 3.3253
Sr Tc Zn
2 1 1
Cartesian
-9.1086 -7.3608 -2.1728
-7.5374 -8.5614 0.6805
-5.3868 -5.8538 0.2207
-2.0317 -2.6592 0.5362
```

Values from the calculation:
Spin magnetization in μB/f.u.: 0.76
ΔH_f (0 K) in eV per atom: 0.409
SG: Imm2 (44)

***

5.
First-principles (PBE) data for an optimized crystal structure of SrZnTc2, as listed in the Alexandria database.

POSCAR file:
```
SrZnTc2
1.0
-0.0803 3.1912 3.4298
1.4995 -3.2309 3.0442
2.4281 0.8327 -3.9199
Sr Tc Zn
1 2 1
Cartesian
1.5287 2.0021 1.3735
0.0000 0.0000 0.0000
2.3186 -1.2090 1.1807
0.7096 -0.0198 3.2370
```

Values from the calculation:
Spin magnetization in μB/f.u.: 0.00
ΔH_f (0 K) in eV per atom: 0.651
SG: F-43m (216)

***

6.
First-principles (PBE) data for an optimized crystal structure of Sr2ZnTc, as listed in the Alexandria database.

POSCAR file:
```
Sr2ZnTc
1.0
4.2657 -0.0762 0.0386
2.9562 3.0763 0.0386
1.1785 0.4896 8.9938
Sr Tc Zn
2 1 1
Cartesian
1.1766 0.4888 8.7979
4.2021 1.7456 4.7314
6.3003 2.6172 6.8033
2.1001 0.8724 2.2678
```

Values from the calculation:
Spin magnetization in μB/f.u.: 1.86
ΔH_f (0 K) in eV per atom: 0.754
SG: C2/m (12)

***

7.
First-principles (PBE) data for an optimized crystal structure of Sr3ZnTc, as listed in the Alexandria database.

POSCAR file:
```
Sr3ZnTc
1.0
5.7268 0.0000 0.0000
0.0000 5.7268 0.0000
0.0000 0.0000 5.7268
Sr Zn Tc
3 1 1
Cartesian
0.0000 2.8634 0.0000
0.0000 0.0000 2.8634
2.8634 0.0000 0.0000
-- stop --

Looking from the Upper Storey to the South Propylaeum
The Piano Nobile
In order to support the weight of the superstructure, the walls of the upper storey had to be placed directly on top of ground floor equivalents. Obviously, this was a key factor as far as the builders were concerned in planning the layout of both floors. So, even though the physical remains of the piano nobile were no longer standing, Evans was able to make a reasonable guess as to the original arrangement of rooms.

Plan of the Upper Storey, West Wing (after Evans)
So, for example, the dimensions of the Lobby at the top of the stairway were determined by those of the magazines on the ground floor. The reason that Evans restored a pillar in the entrance to the lobby was because there was a pier jutting out from the wall immediately below that he believed was designed to give it extra support. With a pillar or column, the downward stress, that would normally be distributed evenly along the whole length of a wall, would be concentrated at certain points.

Piano Nobile looking South
After the final destruction of the palace, a considerable amount of material had fallen into the ground floor rooms, on top of or mixed in with the debris of the intervening ceiling/floor. Among the finds were architectural elements such as column bases and door jambs, painted fresco fragments, and vessels of pottery and stone. These helped Evans to make an educated guess as to the function of the various reconstructed rooms. In his opinion, the entire floor was given over, almost entirely, to religious activity.
The Lobby was the entrance to a room that Evans called the Tri-columnar Hall, built above the Pillar Crypts and adjacent rooms on the ground floor where he found the requisite column bases. The logical place for these was directly above the pillars and the cross wall that divides the two crypts. The hall would have been virtually square, measuring just about 12 x 12 metres and was clearly of some importance. At
Evans believes that a fragment found in one of the basement rooms and known as the Jewel Fresco (left) may have been part of a life-sized composition decorating its walls. It is a tiny fragment that shows a man’s thumb and forefinger holding the end of a necklace worn by a young woman. This has been interpreted as depicting the disrobing of a priestess (standing in for the Goddess) prior to the consummation of the Sacred Marriage, the view held by Evans, but it is probably more likely that it represents the investiture of a priestess with the symbols of her office. The decking out of the sovereign has played a huge role in court ceremonial ever since the days of the first pharaohs and right down to today.
Next door was a room (marked ‘T’ on the plan)that he called the Treasury of the Sanctuary. The evidence for it is more circumstantial. A large number of stone vessels were found in the chamber below and must have fallen through from a room of similar, if not identical dimensions, located next to the Lobby. Most of these can be classified as rhytons (rhyta), a term used to define vessels used to pour out liquid offerings (libations) in the course of religious ceremonies. Most were tall and tapered but a significant number were in the shape of shellfish, such as tritons, or animal heads, especially bulls and lions or, in this case, a lioness made out of alabaster (above right). One, a three-handled pitcher, made out of faience rather than stone, was an imported Egyptian item.
As noted (West Court) there are excellent reasons to believe that there were a number of large halls overlooking the west side of the palace. The staggered arrangement and the broad niches of the façade suggest large rooms on the first storey and the long, narrow cells of the Western Magazines would have given more than enough support.
A long corridor, corresponding to the one on the ground floor, linked the large halls that Evans restored along the west façade. His Great Hall was above Magazines VI-X where massive piers supported a pair of columns. The there was another room to the north that he called the Sanctuary Hall on account of the mural fragments with religious scenes, including the ones depicting the Pillar Shrine, found in Magazines XI-XIII. However, there is no reason why the hall could not have extended over the whole block of magazines (XI-XVI).
James W. Graham, in his study of the Cretan palaces imagines that the large rooms overlooking the West Court were special banqueting halls where, as part of the harvest festival, the palace elite would dine in full view of ordinary Minoans gathered in the courtyard below.
The mural fragments found in the magazines below would seem to support this argument and include what is known as the Camp Stool Fresco (opposite right). This depicts what appear to be a number of elite young men seated facing each other on what look like folding stools. They are shown passing a goblet of wine (one assumes) from one to the other. The dominant figure, at least double the scale of the others, is a woman known, on account of her elaborate coiffure and heavy make up, as La Parisienne (left)). At the nape of her neck is a sort of scarf tied with what is known as the Sacral Knot, indicating that she is a priestess.
Unless otherwise stated, all black & white photos of Knossos are from The Palace of Minos by Arthur Evans and are reproduced here courtesy of the Ashmolean Museum, Oxford University